Monday, January 23, 2006

**Inserted here: materials data**
┌──
No. 1
Compound: ScNiCl
Source: the Alexandria database
Functional: PBE
Structure: relaxed

Output
- symmetry = No. 216

a = 4.3709 Å, b = 4.3709 Å, c = 4.3709 Å
α = 60.00°, β = 60.00°, γ = 60.00°
Positions (direct):
1 Sc 0.2500 0.2500 0.2500
2 Ni 0.5000 0.5000 0.5000
3 Cl 0.0000 0.0000 0.0000

No. 2
Compound: ScTlNi2Cl
Source: the Alexandria database
Functional: PBE
Structure: relaxed

Output
- symmetry = No. 123
- Fermi-level density of states (states/eV/cell) = 6.01

a = 4.7752 Å, b = 5.5878 Å, c = 4.7752 Å
α = 90.00°, β = 90.00°, γ = 90.00°
Last column: magnetic moment on the atom in μB.
Positions (direct):
1 Ni 0.5000 0.0000 0.0000  0.42
2 Ni 0.0000 0.0000 0.5000  0.37
3 Tl 0.0000 0.0000 0.0000  -0.01
4 Sc 0.0000 0.5000 0.0000  0.06
5 Cl 0.5000 0.5000 0.5000  -0.01

Number 1: uncorrected formation energy -329 meV per atom, raw total energy -14.95 eV/cell, size of the total moment 0.000 μB/atom. Number 2: uncorrected formation energy 748 meV per atom, raw total energy -18.37 eV/cell, size of the total moment 0.167 μB/atom.

----------

Below is a relaxed CrMo2Pt crystal, with properties calculated at the GGA-PBE level.

POSCAR file:
```
CrMo2Pt
1.0
2.7066 0.0000 0.0000
0.0000 2.7066 0.0000
0.0000 0.0000 8.1017
Cr Mo Pt
1 2 1
Cartesian
1.3533 1.3533 6.0763
0.0000 0.0000 8.0166
0.0000 0.0000 4.1359
1.3533 1.3533 2.0254
```

Calculated values
- VASP energy (eV for the cell shown) = -37.2

----------

First-principles (PBE) data for a relaxed structure of BeFeOs2, as listed in Alexandria.

* crystal system: orthorhombic
* energy of formation: 0.35 eV/atom
* size of the total moment: 4.793 μB/cell
* density of states at the Fermi level: 8.0 states/eV/cell
* calculated total energy: -8.3111 eV/atom

CIF file:
```
data_BeFeOs2
_symmetry_space_group_name_H-M 'C m m 2'
_symmetry_Int_Tables_number 35
_symmetry_space_group_name_Hall 'C 2 -2'
_cell_length_a 2.7624
_cell_length_b 4.4653
_cell_length_c 8.2849
_cell_angle_alpha 90.00
_cell_angle_beta 90.00
_cell_angle_gamma 90.00
loop_
_atom_site_label
_atom_site_fract_x
_atom_site_fract_y
_atom_site_fract_z
_atom_site_occupancy
Be1 0.0000 0.0000 0.0000 1
Fe1 0.0000 0.5000 0.2217 1
Os1 0.0000 0.0000 0.4818 1
Os2 0.0000 0.5000 0.7676 1
```

=====

First-principles (PBE) data for a relaxed structure of BeFeOs2, as listed in Alexandria.

* crystal system: tetragonal
* energy of formation: 0.13 eV/atom
* size of the total moment: 4.418 μB/cell
* density of states at the Fermi level: 7.4 states/eV/cell
* calculated total energy: -8.5314 eV/atom

CIF file:
```
data_BeFeOs2
_symmetry_space_group_name_H-M 'I -4 m 2'
_symmetry_Int_Tables_number 119
_symmetry_space_group_name_Hall 'I -4 -2'
_cell_length_a 3.6000
_cell_length_b 3.6000
_cell_length_c 7.6504
_cell_angle_alpha 90.00
_cell_angle_beta 90.00
_cell_angle_gamma 90.00
loop_
_atom_site_label
_atom_site_fract_x
_atom_site_fract_y
_atom_site_fract_z
_atom_site_occupancy
Be1 0.0000 0.0000 0.0000 1
Fe1 0.0000 0.5000 0.7500 1
Os1 0.0000 0.0000 0.5000 1
└──

Halley needs a companion...

Okay, so I've decided that I need a serious companion. No, not a guy. I need....a puppy! And not just any puppy...a chihuahua! Yes, a chihuahua. I've been browsing (totally awesome site) lately and I can't help but fall in love with them. I already have the most amazing dog ever (Molly) and I love her to death, but she lives at home in Valley so I don't get to see her too much. A chihuahua would be perfect for apartment life. I would love em and squeeze em and hug em and spoil em! However, there are a couple of obstacles. First of all, there's money. Puppies aren't exactly cheap. Then, the pet fee here is 350 bucks! Halley's a poor college student. Next comes my mom's favorite excuse to prevent me from getting a puppy. "You don't have time for a puppy." I'll admit it, I am a pretty busy girl. But I'm home most of the day! I know quite a few band people with little puppies. Meredith got a new puppy last year and she was drum major. And Track is still perfectly happy and healthy. I would take care of it! And puppies are the BEST stress relief ever. Check out these pictures and just try not to smile! It's humanly impossible. These are some of my favorites so far. :o)

Sunday, January 22, 2006

Mountain Top Existence

I've come to realize that I rely far too much on "mountain top" experiences to keep me on track spiritually. I've always known this and tried to prevent it, but it's really hitting home right now. I just got back from BEHOLD, which by the way was absolutely awesome (I'll post details later). Going into it, I was really excited because I knew what was coming. Over the past few months...okay few is an understatement... I've just felt really distant from God. Things have been hectic with school and everything else that goes along with being out on my own. I haven't rebelled or anything like that, and I've still gone to church, Encounter, Bible study, etc. I just felt spiritually dry. I know everyone goes through periods like this, I just get frustrated because I feel like I can't do anything about it. That's where mountain top experiences come in for me- Behold, Chrysalis, Emmaus, and concerts. I tell myself that I'll finally get it together when I go, and it usually does the trick. While these experiences are great for bringing me a "spiritual high", I don't want this state to be such an extreme. I want to feel this close to God every single day, not just for a while after a retreat. I don't want it to wear off. I don't just want a mountain top experience. I want a mountain top existence. Every moment of every day...thirsting for God and striving to bring Him glory. I get so caught up in the things of this world. I'm trying to be in it and not of it. I don't want to just put on a smile and pretend to be happy. I should truly be filled with joy simply because I'm a child of God. As big as He is and as small as I am, He still cares enough to know every hair on my head...and that's a lot of hair! Man, it just blows me away. Yet I continuously become spiritually content. "Oh, Chrysalis is coming up in a month so it'll be fine." Why wait for Chrysalis? I've got to make my own mountain tops every day and simply refuse to come down. What's stopping me? What's keeping me from feeling this "spiritual high" with every breath? Nothing but me. It's time to move little 'ole ME out of the way.

Sunday, January 08, 2006


Well, it's been forever and a day since I wrote an actual blog so I figured I'd take a few minutes to update. School starts back tomorrow...I'm soooo excited...Yeah, I'm not looking forward to it at all. I've become far too spoiled during this break. It's really the first real break I've had in about two years. Last summer, I worked and had class. Last Christmas break, I was working every day. i finally got used to sleeping late again. So I'm not too thrilled about this 8 am class. Last semester was awful. I'm just hoping this one isn't so bad. I'm taking Human Anatomy and Physiology 2, World Lit. 2, Ethics, Human Odyssey 2, Concert Band, and Tae Kwon Do. Yes, I said Tae Kwon Do. I'm actually very excited about that. I'm also really excited about Encounter starting back up. I've been going through some major withdrawals. Ooo that reminds me! The Indescribable Tour is coming to Auburn!!! That's right, Chris Tomlin, Matt Redman, and Louie Giglio are going to be right here in Auburn, Alabama. I saw them a couple months ago in Atlanta and it was the bomb diggity. It's so worth seeing again. I can't wait! And yet another thing I can't wait for is Behold. It's less than a week away! I've been asked to do a seminar; hopefully that will go smoothly.

I planned on writing quite a bit, but I think I'll save it for later. I'm gonna try to relax a little bit. I'm sick and I've got to get up bright and early...woo-hoo. Check back for more updates soon!